"Too much knowledge can hold you back. Ignorance on the other hand, now that was something that could get you to the finish line." ~ Mark Will-Weber
I used to be one of those runners that planned out every training run, to a T. I followed my plan exactly, and if I had an off day and couldn't crank out the miles I had planned I'd get really down on myself about it. It could get to the point that I'd lose sleep over missing a run one day, or not being able to finish an easier 5-miler. How frustrating, and completely ridiculous! A strict plan works for some (well, many) runners, but not for me. It drove me nuts and I'd actually had to take time off from running because I'd burn myself out so much.
My how time, maturity (just a little bit), a few good learning experiences, and a couple good people can change a person! I've thrown out the book and taken a more pragmatic approach to my "training". I know what works for me, I know what doesn't work, and what I should do (which tends to straddle what works and that which doesn't work for me, go figure). I know I need to get a long run in on the weekend, and I need at least a couple other somewhat substantial runs during the week. I also know that my body likes to shut down or injure if I push more than 4 days of running per week. So, that means getting a couple 5-10 milers in during the week, and then a really awesomely long run on Saturday or Sunday. (Oh, this is what my "plan" involves for 50k training.)
All was going according to the "plan" for the last few weeks, when I started feeling like there was a deep void. I started hating my plan! I wanted to just do something and stop planning for it. Yes, I know, this is probably a really not-smart way to approach ultra running, but we all work in different ways.
So, when I got home on Wednesday evening last week, and Mike, in town for the week, pipes in "Hey, there's a 50k in Cincinnati on Sunday and it's on the way back from Columbus, wanna run it?" I think I almost immediately said yes. I don't really recall thinking about it much at first. Then on Thursday at work I scanned the website for the Stone Steps 50k, kept it minimized in the toolbar for the vast majority of the day, and then returned to it again at the end of the day. I couldn't stop thinking about it! I wanted in. I e-mailed the RD to make sure we could register on race day, and from there it was a done deal in my mind.
Considering my longest run to date was the 14.5 miles we did in Maine cleaning up the course after the marathoners a couple weeks ago, and the only trails I've run were at Waterfall Glen and in Palatine, IL three months ago, I knew I wasn't technically prepared for it. But, keeping true to my ways, I didn't care and I just wanted to go for it. I wasn't prepared for my first half marathon, but I still ran it and did awesome. I wasn't prepared for my first 10k a year ago (almost to the day), but I did it anyway. I certainly wasn't all that prepared for the 14.5 in Maine, but I still did it. So, my thinking was, I can do it! Even if I couldn't run the entire 31 miles, I could still walk it and finish under the cutoff. Done!
So, rising at 4:30a.m. Sunday, Mike and I hoped into the car and, on our way back from working with
Atayne at the Columbus Marathon Expo (more to come on this), we made a little detour and stopped off in Cincinnati's Mt. Airy Forest for a little Sunday morning jog through the forest on an 8++ mile figure eight loop course. And here's how it all panned out...

These calculated molecules were left in the entry by mistake =
____________
[1]
Entry from OMol25: a cluster of 2 separate species, C5H14N in total in a non-equilibrium geometry (ωB97M-V/def2-TZVPD).

The value obtained for the HOMO-LUMO gap (spin up / spin down) is 11.5 / 6.1 eV. As for the energy relative to the best compared isomer or geometry (same formula, charge and spin): 3.4186 eV. The strongest force on any atom comes out at 5.7 eV/A. The spin multiplicity is 2. The net charge is +2.

```
20
Properties=species:S:1:pos:R:3:forces:R:3:mulliken_spin:R:1
C -1.77846 0.56008 -0.09103 -0.3590 -0.5521 1.6448 0.1667
C -1.12101 -0.65632 -0.69780 -1.2306 2.0676 -5.1278 0.1513
C 0.00687 -0.33547 -1.67348 -0.0237 -0.2986 0.3881 0.0607
C -0.71990 -1.63334 0.45388 0.8803 -1.2085 3.5985 0.3938
H -2.83369 0.44513 0.21348 0.4956 -0.4548 -0.0654 0.0078
H -1.22892 0.81892 0.82160 -0.4550 0.8522 0.3172 0.0332
H -1.67843 1.42221 -0.77454 0.3911 -0.1465 -0.0981 0.0632
H -1.84418 -1.20842 -1.33961 0.2217 -0.3650 0.8449 0.0074
H 0.04896 -1.17060 -2.35676 0.3293 -0.0593 -0.4197 0.0003
H 1.02691 -0.24914 -1.24793 -0.2926 0.1471 -0.1437 0.0203
H -0.20896 0.61268 -2.23740 0.1823 -0.6704 0.4336 0.0420
H -1.62106 -2.02173 0.91462 -0.3599 -0.0383 -0.2706 0.0016
H -0.04001 -2.38441 0.03319 -0.2400 0.0828 -0.8455 0.0416
H -0.13715 -1.21259 1.30579 -0.5797 -0.0108 -0.7019 -0.0036
C 2.32386 1.33935 0.74097 1.5935 -0.6714 1.8980 0.0001
N 1.28578 0.77587 1.22194 -1.2339 -0.3479 -2.5580 0.0006
H 3.28313 1.03516 1.20821 -0.3893 1.1053 -0.0567 0.0001
H 2.25954 2.07239 -0.04785 -0.0311 -0.3568 -0.6637 0.0000
H 0.54835 0.55786 0.53029 -0.0263 1.4307 0.7805 0.0118
H 1.15687 0.20563 2.02811 1.1272 -0.5054 1.0454 0.0009
```
Positions in Å, forces in eV/Å.

[2]
Entry from OMol25: a cluster of 16 separate species, C46H110O25 in total in a non-equilibrium geometry (ωB97M-V/def2-TZVPD).

The value obtained for the HOMO-LUMO gap is 9.7 eV. The strongest force on any atom comes out at 3.6 eV/A. The net charge is 0.

```
181
Properties=species:S:1:pos:R:3:forces:R:3:mulliken_charge:R:1
C -16.47176 -0.36843 17.85651 -0.8629 -2.1649 0.3214 0.1929
C -15.04916 0.10933 17.62699 0.0645 -0.1922 0.5833 -0.4055
O -14.17741 -0.37649 18.71125 -2.3535 1.1172 -0.4476 0.3463
O -17.27207 0.11448 16.77435 0.1270 0.0495 0.2020 -0.5748
H -16.94624 -0.03783 18.82123 0.7424 -0.2116 -0.8529 -0.2170
H -16.50269 -1.54221 17.86074 0.2245 1.9933 0.1255 0.1545
H -15.09222 1.22216 17.60653 0.3968 -0.6428 -0.0631 0.4252
H -14.74591 -0.29162 16.62409 0.1009 0.4451 0.9266 0.1973
H -13.35848 -0.60686 18.29273 1.3971 -0.5871 -0.5175 -0.0490
H -17.65845 -0.63654 16.32084 -0.0243 0.0341 -0.0412 0.3742
C -7.21210 -4.79274 17.48593 0.5778 -0.0421 0.1603 -0.9293
C -6.71907 -4.30360 18.84796 0.5847 -1.2662 -1.2933 0.4930
O -6.97509 -5.35502 19.75203 -0.2071 -0.1819 -0.4651 -0.5247
O -8.60186 -5.00130 17.45656 -0.8636 -0.7186 0.5802 -0.4745
H -6.66090 -5.71668 17.23405 -0.2092 0.2237 0.1114 0.2968
H -7.04439 -4.07978 16.68993 0.3370 0.3484 -0.0718 0.4472
____________

Mike and I at 8:00a.m., at the start/finish line (which also doubled as the single aid station)
It was COLD! I'm glad I managed to be so prepared and packed the running tights, gloves and hat! I think it was about 41 degrees, but felt more like 10. However, it turned out to be perfect running weather. We ran up to the gazebo, registered on the spot, got our race bags, and then headed back to the car to apply the Body Glide, prepare our "drop bag" and warm our limbs before the madness began.

And we're off! That's the field of runners...67 runners, turned into only 57 finishers...10 DNF's
The course had a 5++ mile loop that ran through the aid station, followed by a 3++ mile loop that returned to the same aid station. Rinse and repeat. The first 5 or so miles were great, I felt great, and I felt really optimistic. It was a little weird passing runners in the beginning because a) it was a single track trail with little room to pass without forcing the other runner into the brush; and, b) I felt like a 'typical' ultrarunning newbie, passing early, only to get passed up by those same folks who were more conservative in the beginning. Oh well, you run, you learn. We soon make it to the Stone Steps around 2.5 miles and I began to run up them, quickly realizing that I wasn't going to be maintaining my pace for long. So, I took to walking fast up the steps with Mike. Here are the Stone Steps...I'm only about 1/4 of the way up...

It was so hard to catch my breath after that first ascent of the steps. Lesson learned. We were going to be running those 200+ stairs three more times, so we had time to come up with a strategy before we came around to them again. Around mile 4 on this loop we came to a tupperware bin filled with gummy bears (the hill we had just climbed is called Gummy Bear Hill). I had never been so happy to see processed gummy sugar! That's all I needed to motivate me through the next 8 or so miles :)
The next loop sucked. I quickly decided that I hated the 3++ mile loop way more than the longer one. It had us running across and down a road, through some fields (one of which felt longer and crappier each time we crossed it), and the trail was much more technical (rooty and rocky), but still very runable. If I'm recalling correctly, it was mostly downhill on this portion and that's what really got to me. I'm a terrible downhill runner. I couldn't get my footing most of the time, so much of this portion was more speedwalking for me. Mike flew down the downhill sections like a pro. He glided over the techinical stuff like it was nothing, and I was so hesitant with every step. I was so worried I was going to just bite it. I lacked any confidence on these parts and couldn't just let go and let my legs do the running. So, I gingerly descended the hills, while Mike waited at the bottom for me each time. Best running partner
I began to look forward to the uphills and the stairs, imagine that!
Water break!
The course was gorgeous, but it was hard to really take it all in because, even with my limited trail experience, I know that the moment your eyes leave the ground in front of you it could easily spell the end of your race. During our planned one minute walk breaks after each mile I made sure to look around a bit. The place is gorgeous! Deafeningly quiet, serene, a canopy of green overhead with rays of sunshine breaking through here and there providing some much appreciated warmth throughout the day. It was cold enough that we both ran with our gloves on the entire time and I kept the Buff around my neck all day. I probably would have been uncomfortably cold had it not been for my tights. They really held up well. I was comfortable the whole run.
At mile 12 we passed one of the stranger sights littering the trail here and there throughout the day. Just random hikers. It was a couple with three dogs of varying sizes, all were barking, and on the arm of the woman was a ginormous white bird, squawking! What the hell is going on?! It was hilarious! The dogs were going nuts because we probably appeared to come from out of thin air, and then the bird started squawking out of control because the dogs were so loud. It was all the poor couple could do to keep the dogs off of us, and keep the bird on the woman's arm! Oh the woods, what a magical place.
I was feeling great, all things considered. Then around mile 15 I felt hot spots on the balls of both my feet. I was planning on ignoring them until mile 17 when I stepped on a sharp rock that rocked my right foot to the side and burst the blister that had formed on that side! It sent a shooting pain up my leg to my knee and I sucked in air so hard I coughed. Ok, no worries, at least now that it's popped it'll go numb! However, I couldn't stop thinking about it. Mike was doing a really awesome job of distracting me with great conversation and positive reinforcement, and at mile 18 I needed it. For a brief moment, my legs just stopped working and my left foot caught on a root that it didn't clear and down I went! I landed flat on my frontside, somehow missing smacking my face on the trail. I was up just as quickly as I went down, but not before dropping the F-bomb very loudly and repeatedly. Mike had sprinted ahead (it was a downhill section) and immediately knew I had bit it. "Did you fall, Troelstrup?!" I started laughing so hard I could barely move, knowing that it must have looked hilarious, and wishing that Mike had gotten it on video. "I'm so jealous, you've had your first ultra trail fall. I want one!" Not a bruise, not a scrap, nada. I was lucky, it could have been ugly!

At mile 20 my body began to protest. At the aid station, nothing looked appetizing, so I stuck to Mountain Dew, grapes, and a bite or two of a granola bar each time. It was strange feeling like that, borderline nauseous. After the 2nd full loop I began to even feel nauseous while running. I've never had that before and it was a little scary, but I did my best to just push it to the side. Taking walk breaks became so necessary, but getting back into a full on run became harder every time I took a walk break. I was literally reduced to bargaining with my body. I've read a lot about how an ultra is more of a mental/emotional feat than it is a physical one. I was finally experiencing this for myself. My legs felt heavy and everything was sufficiently achy, but never so bad that I felt that I couldn't go on.
There was only one other woman in my division and she was gaining on us at the end of the 3rd loop, and when Mike said as much, I said "I don't give a shit if she passes me." He laughed at me, but we were on the field-crossing section of my least favorite loop, the part that seems to go on forever, and stopping to rest was the only thing on my mind. Mike didn't want me to rest, he wanted me to push on. So we pushed on.
I'll say this, the volunteers at the aid station were awesome. They were so nice and so enthusiastic. The race director, David, was there the entire time cheering each runner on as they came through the station. At the first stop, I had my mouth full of water, granola and grapes and I was trying to tell Mike that they had PB&J. I made no sense to anyone but Mike who knew exactly what I said. David found that pretty amusing and proceeded to jive me about it each time I came through the station :)
Each stop became harder to get out of. It gives too much time for the muscles to stiffen and makes it difficult to get them rolling again. On our way out of the final loop, Mike grabbed his camera to get some shots of the scenery. We were having a lot of fun, and I needed it to distract me from the pain on my feet from the blisters and the fact that my quads were totally trashed from the downhills. Just before we reached our last set of the Stone Steps, Mike found the perfect tree limb and started rolling his legs, getting them prepped for the hard effort ahead of us...
A man's gotta do what a man's gotta do! A mini massage in the middle of the forest, who'd have thought!
I was so tired and felt like one giant cramp waiting to happen, and every muscle in my body ached. I never realized how much my lower back and abs come into play during a run. They were both on fire. I could feel every single muscle contraction during every single step. It was weird, but really cool at the same time. You learn a lot about your body during long runs, and this day was a crash course for me! During that last loop Mike and I were pretty quiet, concentrating on the ground under our feet. The more exhausted you are, the more you have to pay attention to avoid a spill.
I thought a lot about how I got to this point, why I was there, and how I felt about it. I knew I was technically undertrained for this sort of distance, I knew that I could finish it because I wanted to finish it. It's amazing what you can do when you actually want to do it. I felt like crap and my body ached in a way it never had before, but I loved every second of it. When I would pick up my stride after a walk break I was amazed that I was doing it. I thought to myself multiple time throughout the day, "I feel like total crap and my legs feel like cinder blocks, but I'm still running!" It was so cool! I knew I was going to hurt in the aftermath, but I also knew it was totally going to be worth it.
We were a football fields distance from the finish line (which I didn't realize) and Mike was pushing me to pick it up a little more so that I could finish under 7 hours. I didn't care at this point what my time was, I just wanted to finish. I looked at my GPS and thought to myself "no way that's happening", but he sprinted ahead to give his camera to a volunteer at the finish line (which I couldn't see as it was around a bend, hence the reason I thought we were farther off than we actually were) and when he returned we crossed the finish line together. It was perfect. I saw the clock at the finish and it read 6:57:09...we finished under 7 hours!!

Holy crap! I thought my legs were going to give out. I was running for nearly 7 hours! I've never done more than 3 1/2 hours, and only half the distance before. My legs almost immediately stiffened, then my back and shoulders followed suit. The RD high-fived us and everyone congratulated us as Mike announced that I had just finished my very first 50k. I stood over the aid station table staring at the goods, knowing I needed to eat (I had just burned off two days' worth of calories, I should be starving!) but the sight of food made my stomach turn, so I just downed water and gatorade. A volunteer handed us our split cards, and we got our picture taken, then we walked around for a few minutes and stretched out our legs. It felt like I couldn't control my legs, it felt very weird. I was scared to take my shoes and socks off and look at my feet, it felt like they were both giant blisters.
Now it was time to go home! We had a 5 hour drive ahead of us into Chicago. Mike was able to switch his flight back to D.C. to Monday morning, so we didn't have to worry about rushing back to the city to make his flight. After a stop at a convenience store to get 4 bags of ice, a slushy for me, coffee and bananas, and then tacos at Taco Bell, I sat in the passenger seat and iced my ankles and shins. Mike used his Ace Bandages to attach ice packs to his knees while he drove the first half of the ride...

Ooo la la! The lady at the counter came on the loud speaker when she saw this and exclaimed that he looked great :)
Wow, what a day! I finished my first ultra marathon, and now all I could think about (besides the pain I was in) was when I do my next one! It was an amazing experience, and I'm so glad Mike was there with me. Honestly, I wouldn't have gotten into it if it weren't for him, and I don't know that I'd have finished if it weren't for him. I'd have probably cried more than a few times, but his positivity and humor kept me laughing and in good spirits, even on the downhills. Lucky me :) It really is a mental and emotional challenge. It was really cool to experience something like that and I looked forward to my next ultra. I'm looking forward to an '09 50-miler...which to choose!
I've been hobbling around since Sunday, and each time I come to a flight of stairs, I stand at the base and just stare at them knowing it's going to hurt to climb them, but damn it's good to know why it's going to hurt!
At work, no one understands what it is I did and it absolutely fascinates them. The general response is, "31 miles? You what?! Who does that, on a whim!" And I just smile.
Paige, out.
"If you start to feel good during an Ultra, don't worry - you'll get over it."- Gene Thibeault